There are some elaborate charts that tell you how you could read the Bible all the way through in one year — which if you followed, would work fine. However, I wonder how many people have ever followed such charts all the way through, because it would require that you make regular reference to the charts, and remember where you were on the chart.
On the other hand, many people simply open up the Bible at Genesis, and then get bogged down somewhere towards the end of Exodus and Leviticus, and then quit.
One method I would suggest is much simpler to follow, and if you do, you not only will read the Bible all the way through in about a year or so… but you could continue to read the Bible and get a balanced intake of the various parts of the Bible rather than hit one section that is difficult and then lose interest.
I would suggest you make 6 paper book marks with the following labels.
1) The Law (Genesis thru Deuteronomy)
2) History (Joshua thru Esther in the KJV, and one should also include the Deutero-canonical books of Tobit, Judith, the books of the Maccabees, and 1st Esdras)
3) Wisdom (Job, Psalms, Proverbs, Ecclesiastes, the Song of Solomon, Sirach, Wisdom)
4) The Prophets (Isaiah thru Malachi)
5) The Gospels
6) Acts, The Epistles, and Revelation
Ideally you would read 6 chapters a day. However, if that was too much, you could read three from the first sections one day, and three from the rest the next. You don’t need to refer to a chart… just move your book marks as you go. You could also combine groups 1 & 2, 3 & 4, 5 & 6, and read three chapters a day that way. In any case, when you hit the end of a section, move it back to the beginning, and start that section over again.
The Orthodox Study Bible would be particularly helpful to use in this regard, because it has an introduction to each book that will help you better understand what you are reading, along with footnotes throughout the text.
Probably the two biggest reasons that people do not read the Bible, aside from general laziness, is that they don’t understand what they are reading, or that they find it boring (which is usually a direct result of not understanding the text, or as noted above, getting bogged done in a difficult section of Scripture before getting a full sense of the entire scope of Scripture).
To understand the text properly, the first thing you need to do is pick a good translations. See this article for details, but the abbreviated recommendation for the average reader would be to start with the Orthodox Study Bible or the New King James Text. I love the King James Version myself, but unless you grew up hearing it read, you should probably read the New King James first.
It is also important to have some good study tools. You can see this article for a full breakdown of the various kinds of biblical reference material available, but for the average laymen, I would recommend a good Study Bible (again the Orthodox Study Bible being the best option currently available), a good Bible Dictionary such as this one, or this one, a good catechetical text, such as the Law of God, and perhaps some basic commentaries such as “The Bible and The Holy Fathers For Orthodox” by Johanna Manley.
It can also be helpful to listen to the Bible being read, especially if you find it difficult to find time to sit down and read the text, or if you have a lot of time in which you could listen to audio, but can’t read a text (such as when you spend a lot of time on the road driving). You can listen to the Bible being read for free on the Bible Gateway, the Blue Letter Bible site, and on your phone via the YouVersion App, or the Blue Letter Bible App.
It’s also important to understand that the more you read the Bible, the better you will understand it, and so you should not allow a sense that you do not fully understand the text to keep you from reading it. You will also find that there is always more for you to learn… you will never exhaust its meaning.
About the author
Father John Whiteford is Archpriest and pastor at St. Jonah Orthodox Church, in Spring, Texas. He was born in Riverside, California in 1966, and lived in Grand Terrace, California. Father John and his family moved to Murray, Kentucky in 1976, and then to Houston, Texas in 1978. He was raised in the Church of the Nazarene, but began studying Orthodoxy while working on his B.A. in Theology at Southern Nazarene University in Bethany, Oklahoma. Fr. John decided to convert not long after graduating from there in 1990. He was baptized at St. Benedict Orthodox Church in Oklahoma City on November 10th, 1990.
Fr. John wrote an article entitled Sola Scriptura: In the Vanity of Their Minds, which laid out many of the theological reasons for his conversion. This article was published in the Christian Activist in 1995, and then was published in a revised and somewhat expanded form by Conciliar Press in 1996, under the title Sola Scriptura: An Orthodox Analysis of the Cornerstone of Reformation Theology.
Fr. John was a representative of the ROCOR Diocese of Chicago and Mid-America at the signing of the Act of Canonical Communion between the Moscow Patriarchate and the Russian Orthodox Church Outside of Russia, in Moscow, on May 17, 2007. He is currently the general editor of the St. Innocent Liturgical Calendar. He is also the dean of the southern deanery (Texas and Louisiana) of the Diocese of Chicago and Mid-America ROCOR.
- January 11, 2023
- December 26, 2022
- December 5, 2022
4 thoughts on “A Simple Approach to Reading the Entire Bible”
The page is interrupted by records of molecules =
+++
{"formula": "C5H15NO", "method": "ωB97M-V/def2-TZVPD", "relative_energy_kcal_mol": 32.47, "smiles": "CC[C@H](C)CN.O", "mol_weight_g_mol": 105.18, "multiplicity": 1, "lumo_ha": 0.023, "elements": ["C", "C", "C", "C", "C", "N", "H", "H", "H", "H", "H", "H", "H", "H", "H", "H", "H", "H", "H", "O", "H", "H"], "positions_angstrom": [[-2.54074, -0.39171, 0.30033], [-1.05094, -0.22812, 0.84657], [0.04301, -0.68891, -0.11791], [0.32629, -2.19035, -0.22661], [1.29951, 0.03128, 0.43964], [2.61717, -0.17168, -0.19752], [-3.04604, 0.48690, -0.06167], [-2.98902, -0.97493, 1.10154], [-2.45184, -1.11474, -0.51395], [-0.87855, -0.62879, 1.85157], [-0.91941, 0.85442, 0.94166], [-0.08123, -0.13024, -1.07983], [-0.58341, -2.78764, -0.20765], [0.82944, -2.57019, 0.67703], [0.92296, -2.44226, -1.10343], [1.35047, -0.10382, 1.55669], [1.09915, 1.10460, 0.44112], [3.20785, 0.02685, 0.60720], [2.85699, -1.14288, -0.37556], [-0.14825, 4.73846, -1.75598], [-0.01952, 4.36455, -0.88240], [0.15612, 3.95922, -2.24083]], "forces_ev_per_angstrom": [[2.30, -2.18, 0.82], [-1.17, 1.00, -1.15], [1.65, 1.42, 0.25], [-0.55, -0.02, 0.50], [-0.15, 0.09, 1.05], [-0.06, 0.04, 0.88], [-0.11, 0.32, 0.36], [-1.07, 0.53, -0.13], [-0.30, 0.15, -0.24], [-0.33, -0.25, -0.23], [0.19, -0.04, 0.23], [-0.39, -1.11, 0.25], [-0.26, 0.04, -0.54], [0.25, 0.42, -0.20], [-0.08, -0.02, 0.06], [0.00, -0.67, -0.69], [0.02, 0.16, -0.60], [0.63, 0.28, -0.54], [-0.57, -0.15, -0.08], [0.30, -0.84, -0.03], [-0.18, 0.48, 0.69], [-0.11, 0.35, -0.66]]}
+++
A great resource for listening to the Orthodox Study Bible is found at Father Alexis Khouri does a wonderful job reading and also giving a short spiritual message each day.
I drive a truck, I much prefer listening to podcast, including yours! I also use the OSB, I start with GEN, Psalms, Proverbs, and the NT.
This is a really interesting article!
[The article is interrupted by data records]
┌──
(1)
Formula: C6H10O
Source: the Open Molecules 2025 dataset
Level of theory: ωB97M-V/def2-TZVPD

Element x y z (Å)
C  2.275  0.144  0.000
C  0.794  -0.134  0.079
C  0.116  -1.185  0.592
C  -1.340  -1.203  0.188
C  -1.524  0.149  -0.518
C  -0.136  0.842  -0.603
O  -0.065  2.141  -0.020
H  2.490  1.195  0.235
H  2.622  -0.008  -1.034
H  2.880  -0.496  0.648
H  0.607  -1.976  1.154
H  -2.431  -1.347  1.144
H  -2.082  -2.009  0.196
H  -2.006  0.105  -1.497
H  -2.153  0.727  0.151
H  0.161  1.017  -1.645
H  -0.209  2.038  0.931

LUMO energy   0.74 eV
Energy above the lowest of the compared OMol25 structures with the same formula, charge and spin   281.0 kJ/mol
Net charge   0

(2)
Formula: C18H19NNiO2
Source: the Open Molecules 2025 dataset
Level of theory: ωB97M-V/def2-TZVPD

Element x y z (Å)
C  1.276  -2.052  -2.239
C  0.612  1.259  -2.100
C  -0.177  -1.986  -1.944
H  1.489  -2.837  -2.983
C  -0.683  1.141  -1.786
H  1.252  1.956  -1.539
H  -0.579  -2.990  -1.699
H  -1.121  1.782  -1.010
C  -1.084  -1.246  -2.844
H  -1.995  -1.863  -2.919
H  -0.664  -1.139  -3.857
C  2.072  -0.785  -2.691
H  2.710  -1.112  -3.532
H  2.758  -0.505  -1.881
C  1.316  0.468  -3.157
H  0.645  0.245  -3.989
H  2.102  1.136  -3.549
C  -1.637  0.146  -2.384
H  -2.140  0.590  -3.266
H  -2.453  -0.007  -1.657
Ni  0.321  -2.040  0.376
H  1.743  -2.402  -1.260
O  3.751  -0.797  1.905
C  2.584  -1.015  1.564
O  2.173  -1.864  0.664
C  1.494  -0.239  2.240
C  1.777  0.548  3.367
C  0.744  1.212  3.988
C  -0.542  1.155  3.413
C  -1.647  1.809  3.999
C  -2.880  1.796  3.385
C  -3.050  1.157  2.139
C  -1.997  0.458  1.553
C  -0.765  0.370  2.226
N  0.247  -0.438  1.771
H  2.795  0.562  3.736
H  0.898  1.762  4.922
H  -1.480  2.301  4.958
H  -3.729  2.283  3.867
H  -4.021  1.195  1.643
H  -2.115  -0.013  0.571

LUMO energy (alpha / beta)   -0.67 / -0.73 eV
Net charge   0
⟨S²⟩   2.03
2S+1   3

(3)
Formula: C19H28BCaF4O2
Source: the Open Molecules 2025 dataset
Level of theory: ωB97M-V/def2-TZVPD

Element x y z (Å)
O  1.762  -0.253  -1.957
C  1.834  0.082  -3.406
C  3.229  -0.555  -3.497
H  1.713  1.172  -3.573
H  1.073  -0.439  -4.012
C  2.948  -1.134  -2.102
H  3.970  0.245  -3.368
H  3.549  -1.126  -4.403
C  4.215  -0.817  -1.308
H  4.289  0.245  -1.012
H  5.052  -1.025  -2.005
H  4.456  -1.476  -0.461
C  2.499  -2.592  -2.131
H  1.684  -2.722  -2.880
H  2.111  -2.892  -1.141
H  3.383  -3.227  -2.388
Ca  1.718  2.033  -0.228
C  -1.452  -2.101  -0.917
C  -2.031  -0.921  -1.506
C  -1.703  -0.890  -2.890
H  -2.597  -0.139  -0.997
C  -0.919  -2.035  -3.172
C  -0.818  -2.837  -1.987
H  -0.303  -3.811  -1.926
H  -1.514  -2.372  0.156
H  -1.983  -0.114  -3.606
H  -0.489  -2.260  -4.145
C  0.733  0.635  2.610
C  1.048  -0.557  1.911
C  2.413  -0.484  1.558
H  0.379  -1.398  1.747
C  2.943  0.745  2.041
C  1.897  1.438  2.720
H  2.028  2.337  3.324
H  -0.217  0.866  3.066
H  2.998  -1.276  1.109
H  3.999  1.008  2.050
O  3.988  2.729  -2.252
C  5.259  2.222  -2.819
C  5.738  3.096  -3.971
└──
[Here the article continues]
I think for myself, doing all six at once would be too much, so I’m combining the Law with the historical books, and the Wisdom with the Prophets. I’m reading the OSB for the Old Testament and the Holy Apostle Convent two volume New Testament with commentary for the New Testament. This is a GREAT article. I’d love to see more by Father John on this topic!
Best advice on a Bible reading program that I have come across. Thank you, Father John.